Assignment:
Duplicate every line below that contains the word "Mn", please.

Entries:
-- begin --
The following is a simulated powder diffraction line list of Sc2MnMoO8. It was derived from a cell relaxed with PBE+U, using λ = 1.5418 Å (Cu Kα).
No peak broadening, texture or thermal motion is included.

Top 10 peaks for 10 to 90 degrees two-theta, in order of rising 2θ:
2θ = 18.6°, I = 33.8
2θ = 25.9°, I = 100.0
2θ = 27.0°, I = 79.1
2θ = 34.7°, I = 99.1
2θ = 37.8°, I = 20.1
2θ = 39.3°, I = 26.4
2θ = 51.6°, I = 61.1
2θ = 52.9°, I = 46.6
2θ = 55.8°, I = 16.1
2θ = 66.2°, I = 36.8

Structure:
```
Sc2MnMoO8
1.0
3.2968 -3.4447 0.0000
3.2968 3.4447 0.0000
0.0000 0.0000 6.1497
Sc Mn Mo O
2 1 1 8
Cartesian
0.0000 0.0000 1.4881
0.0000 0.0000 4.6616
3.2968 0.0000 0.0000
3.2968 0.0000 3.0748
1.3689 0.0000 3.0748
1.3969 0.0000 0.0000
3.2968 1.2546 1.5680
-- stop --

Here it is:
Sc Mn Mo O